+++
# Ba4InBiO6
Simulated powder X-ray diffraction pattern, Cu Kα X-rays. Input: a structure optimized by DFT (GGA-PBE).
No peak broadening, texture or thermal motion is included.

Principal peaks in the range 10° ≤ 2θ ≤ 90°, low angle first:
| index | 2θ (°) | Rel. int. |
| --- | --- | --- |
| 0 0 2 | 13.3 | 26 |
| 1 1 0 | 27.8 | 66 |
| 1 0 3 | 28.1 | 100 |
| 1 0 5 | 39.2 | 28 |
| 2 0 0 | 39.7 | 34 |
| 2 1 3 | 49.4 | 43 |
| 2 1 5 | 57.1 | 19 |
| 2 2 0 | 57.5 | 11 |
| 3 1 0 | 65.0 | 12 |
| 3 2 3 | 79.1 | 11 |

Crystal structure
```
data_Ba4InBiO6
_chemical_formula_sum 'Ba4 In1 Bi1 O6'
_symmetry_space_group_name_H-M 'P 4/m m m'
_symmetry_Int_Tables_number 123
_symmetry_space_group_name_Hall '-P 4 2'
_cell_length_a 4.5357
_cell_length_b 4.5357
_cell_length_c 13.3241
_cell_angle_alpha 90.00
_cell_angle_beta 90.00
_cell_angle_gamma 90.00
loop_
_atom_site_label
_atom_site_type_symbol
_atom_site_fract_x
_atom_site_fract_y
_atom_site_fract_z
Ba1 Ba 0.0000 0.0000 0.1301
Ba2 Ba 0.5000 0.5000 0.3613
In1 In 0.5000 0.5000 0.0000
Bi1 Bi 0.0000 0.0000 0.5000
O1 O 0.0000 0.0000 0.3172
O2 O 0.0000 0.5000 0.0000
O3 O 0.0000 0.5000 0.5000
```

---

# BaInBi2Pb
Simulated powder X-ray diffraction pattern, Cu Kα X-rays. Input: a structure optimized by DFT (GGA-PBE).
No peak broadening, texture or thermal motion is included.

Principal peaks in the range 10° ≤ 2θ ≤ 90°, low angle first:
| index | 2θ (°) | Rel. int. |
| --- | --- | --- |
| 1 1 -1 | 18.9 | 28 |
| 1 1 1 | 22.3 | 36 |
| 4 0 0 | 23.9 | 27 |
| 6 0 -2 | 30.3 | 34 |
| 3 1 1 | 30.6 | 65 |
| 3 1 -3 | 32.0 | 100 |
| 0 2 0 | 33.5 | 46 |
| 7 1 -3 | 40.6 | 20 |
| 6 2 -2 | 45.8 | 22 |
| 3 3 -3 | 59.0 | 18 |

Crystal structure
```
data_BaInBi2Pb
_chemical_formula_sum 'Ba4 In4 Bi8 Pb4'
_symmetry_space_group_name_H-M 'C 1 2/m 1'
_symmetry_Int_Tables_number 12
_cell_length_a 17.7430
_cell_length_b 5.3431
_cell_length_c 9.8430
_cell_angle_alpha 90.00
_cell_angle_beta 123.02
_cell_angle_gamma 90.00
loop_
_symmetry_equiv_pos_as_xyz
'x,y,z'
'-x,-y,-z'
'-x,y,-z'
'x,-y,z'
'x+1/2,y+1/2,z'
'-x+1/2,-y+1/2,-z'
'-x+1/2,y+1/2,-z'
'x+1/2,-y+1/2,z'
loop_
_atom_site_label
_atom_site_type_symbol
_atom_site_fract_x
_atom_site_fract_y
_atom_site_fract_z
Ba1 Ba 0.2465 0.0000 0.2367
In1 In 0.0755 0.0000 0.7361
Bi1 Bi 0.1191 0.5000 0.9403
Bi2 Bi 0.1309 0.0000 0.4765
Pb1 Pb 0.0891 0.5000 0.2526
```

---

# BaInBiPd3
Simulated powder X-ray diffraction pattern, Cu Kα X-rays. Input: a structure optimized by DFT (GGA-PBE).
No peak broadening, texture or thermal motion is included.

Principal peaks in the range 10° ≤ 2θ ≤ 90°, low angle first:
| index | 2θ (°) | Rel. int. |
| --- | --- | --- |
| 0 2 0 | 13.3 | 26 |
| 2 0 0 | 25.9 | 32 |
| 0 0 2 | 26.5 | 26 |
| 0 2 2 | 29.7 | 26 |
| 0 4 1 | 30.0 | 27 |
| 1 3 2 | 36.0 | 35 |
| 2 0 2 | 37.4 | 100 |
| 1 5 1 | 38.7 | 44 |
| 2 4 1 | 40.0 | 24 |
| 0 0 4 | 54.5 | 34 |

Crystal structure
```
data_BaInBiPd3
_chemical_formula_sum 'Ba4 In4 Bi4 Pd12'
_symmetry_space_group_name_H-M 'C m c m'
_symmetry_Int_Tables_number 63
_symmetry_space_group_name_Hall '-C 2c 2'
_cell_length_a 6.8856
_cell_length_b 13.2754
_cell_length_c 6.7349
_cell_angle_alpha 90.00
_cell_angle_beta 90.00
_cell_angle_gamma 90.00
loop_
_atom_site_label
_atom_site_type_symbol
_atom_site_fract_x
_atom_site_fract_y
_atom_site_fract_z
Ba1 Ba 0.0000 0.2011 0.2500
In1 In 0.0000 0.4631 0.2500
Bi1 Bi 0.0000 0.1288 0.7500
Pd1 Pd 0.0000 0.3351 0.7500
Pd2 Pd 0.2090 0.0000 0.0000
```

----------

Ac4Ge2I5: simulated PXRD pattern (Cu Kα (λ = 1.5418 Å)), based on a crystal structure in Alexandria, relaxed with PBE.

Main lines, by angle (10° ≤ 2θ ≤ 90°):
23.4°, d 3.794, I = 100
26.5°, d 3.362, I = 79
27.0°, d 3.297, I = 72
31.8°, d 2.810, I = 21
35.4°, d 2.533, I = 31
35.5°, d 2.528, I = 32
36.7°, d 2.448, I = 20
37.4°, d 2.407, I = 21
38.2°, d 2.355, I = 33
38.2°, d 2.353, I = 24

Cell and atoms:
a = 5.050 Å, b = 10.190 Å, c = 10.453 Å
α = 100.97°, β = 103.67°, γ = 96.98°
Element x y z (fractional)
Ac  0.094  0.262  0.001
+++

What is needed: reproduce everything further up exactly.

# Ba4InBiO6
Simulated powder X-ray diffraction pattern, Cu Kα X-rays. Input: a structure optimized by DFT (GGA-PBE).
No peak broadening, texture or thermal motion is included.

Principal peaks in the range 10° ≤ 2θ ≤ 90°, low angle first:
| index | 2θ (°) | Rel. int. |
| --- | --- | --- |
| 0 0 2 | 13.3 | 26 |
| 1 1 0 | 27.8 | 66 |
| 1 0 3 | 28.1 | 100 |
| 1 0 5 | 39.2 | 28 |
| 2 0 0 | 39.7 | 34 |
| 2 1 3 | 49.4 | 43 |
| 2 1 5 | 57.1 | 19 |
| 2 2 0 | 57.5 | 11 |
| 3 1 0 | 65.0 | 12 |
| 3 2 3 | 79.1 | 11 |

Crystal structure
```
data_Ba4InBiO6
_chemical_formula_sum 'Ba4 In1 Bi1 O6'
_symmetry_space_group_name_H-M 'P 4/m m m'
_symmetry_Int_Tables_number 123
_symmetry_space_group_name_Hall '-P 4 2'
_cell_length_a 4.5357
_cell_length_b 4.5357
_cell_length_c 13.3241
_cell_angle_alpha 90.00
_cell_angle_beta 90.00
_cell_angle_gamma 90.00
loop_
_atom_site_label
_atom_site_type_symbol
_atom_site_fract_x
_atom_site_fract_y
_atom_site_fract_z
Ba1 Ba 0.0000 0.0000 0.1301
Ba2 Ba 0.5000 0.5000 0.3613
In1 In 0.5000 0.5000 0.0000
Bi1 Bi 0.0000 0.0000 0.5000
O1 O 0.0000 0.0000 0.3172
O2 O 0.0000 0.5000 0.0000
O3 O 0.0000 0.5000 0.5000
```

---

# BaInBi2Pb
Simulated powder X-ray diffraction pattern, Cu Kα X-rays. Input: a structure optimized by DFT (GGA-PBE).
No peak broadening, texture or thermal motion is included.

Principal peaks in the range 10° ≤ 2θ ≤ 90°, low angle first:
| index | 2θ (°) | Rel. int. |
| --- | --- | --- |
| 1 1 -1 | 18.9 | 28 |
| 1 1 1 | 22.3 | 36 |
| 4 0 0 | 23.9 | 27 |
| 6 0 -2 | 30.3 | 34 |
| 3 1 1 | 30.6 | 65 |
| 3 1 -3 | 32.0 | 100 |
| 0 2 0 | 33.5 | 46 |
| 7 1 -3 | 40.6 | 20 |
| 6 2 -2 | 45.8 | 22 |
| 3 3 -3 | 59.0 | 18 |

Crystal structure
```
data_BaInBi2Pb
_chemical_formula_sum 'Ba4 In4 Bi8 Pb4'
_symmetry_space_group_name_H-M 'C 1 2/m 1'
_symmetry_Int_Tables_number 12
_cell_length_a 17.7430
_cell_length_b 5.3431
_cell_length_c 9.8430
_cell_angle_alpha 90.00
_cell_angle_beta 123.02
_cell_angle_gamma 90.00
loop_
_symmetry_equiv_pos_as_xyz
'x,y,z'
'-x,-y,-z'
'-x,y,-z'
'x,-y,z'
'x+1/2,y+1/2,z'
'-x+1/2,-y+1/2,-z'
'-x+1/2,y+1/2,-z'
'x+1/2,-y+1/2,z'
loop_
_atom_site_label
_atom_site_type_symbol
_atom_site_fract_x
_atom_site_fract_y
_atom_site_fract_z
Ba1 Ba 0.2465 0.0000 0.2367
In1 In 0.0755 0.0000 0.7361
Bi1 Bi 0.1191 0.5000 0.9403
Bi2 Bi 0.1309 0.0000 0.4765
Pb1 Pb 0.0891 0.5000 0.2526
```

---

# BaInBiPd3
Simulated powder X-ray diffraction pattern, Cu Kα X-rays. Input: a structure optimized by DFT (GGA-PBE).
No peak broadening, texture or thermal motion is included.

Principal peaks in the range 10° ≤ 2θ ≤ 90°, low angle first:
| index | 2θ (°) | Rel. int. |
| --- | --- | --- |
| 0 2 0 | 13.3 | 26 |
| 2 0 0 | 25.9 | 32 |
| 0 0 2 | 26.5 | 26 |
| 0 2 2 | 29.7 | 26 |
| 0 4 1 | 30.0 | 27 |
| 1 3 2 | 36.0 | 35 |
| 2 0 2 | 37.4 | 100 |
| 1 5 1 | 38.7 | 44 |
| 2 4 1 | 40.0 | 24 |
| 0 0 4 | 54.5 | 34 |

Crystal structure
```
data_BaInBiPd3
_chemical_formula_sum 'Ba4 In4 Bi4 Pd12'
_symmetry_space_group_name_H-M 'C m c m'
_symmetry_Int_Tables_number 63
_symmetry_space_group_name_Hall '-C 2c 2'
_cell_length_a 6.8856
_cell_length_b 13.2754
_cell_length_c 6.7349
_cell_angle_alpha 90.00
_cell_angle_beta 90.00
_cell_angle_gamma 90.00
loop_
_atom_site_label
_atom_site_type_symbol
_atom_site_fract_x
_atom_site_fract_y
_atom_site_fract_z
Ba1 Ba 0.0000 0.2011 0.2500
In1 In 0.0000 0.4631 0.2500
Bi1 Bi 0.0000 0.1288 0.7500
Pd1 Pd 0.0000 0.3351 0.7500
Pd2 Pd 0.2090 0.0000 0.0000
```

----------

Ac4Ge2I5: simulated PXRD pattern (Cu Kα (λ = 1.5418 Å)), based on a crystal structure in Alexandria, relaxed with PBE.

Main lines, by angle (10° ≤ 2θ ≤ 90°):
23.4°, d 3.794, I = 100
26.5°, d 3.362, I = 79
27.0°, d 3.297, I = 72
31.8°, d 2.810, I = 21
35.4°, d 2.533, I = 31
35.5°, d 2.528, I = 32
36.7°, d 2.448, I = 20
37.4°, d 2.407, I = 21
38.2°, d 2.355, I = 33
38.2°, d 2.353, I = 24

Cell and atoms:
a = 5.050 Å, b = 10.190 Å, c = 10.453 Å
α = 100.97°, β = 103.67°, γ = 96.98°
Element x y z (fractional)
Ac  0.094  0.262  0.001